This is a big year in our household. It is a year of lasts, as Erin enjoys her final year of high school, and all the fun that goes with it. She is almost grown, a beautiful young woman, inside and out, with a zest for life and a knack for fun that draws people to her.
I feel like we have fast forwarded through the last 17 years, like some kind of crazy time warp, but this year is the fastest yet. I look ahead with both enthusiasm and dread at the separation that is coming so quickly, in so short a time. I can't help but wonder how we got from preschool to senior year of high school so soon. We have already seen the final first day of school come and go. This week, it was homecoming, culminating with a dance on Saturday night. Ironically, and perhaps fittingly, it was also Halloween.
**Materials data, kept here for reference**
┌──
(1)
Material: VTcI2O
Method: DFT, PBE with a Hubbard U
State: optimized geometry

Cell lengths 5.799, 5.799, 3.659 Å; angles 90.00, 90.00, 90.00 degrees
Space group P4/mmm (No. 123)
Asymmetric unit:
V (0.000, 0.000, 0.000) (multiplicity 1)
Tc (0.500, 0.500, 0.500) (multiplicity 1)
I (0.000, 0.500, 0.000) (multiplicity 2)
O (0.000, 0.000, 0.500) (multiplicity 1)

E = -4.91 eV per atom
energy above the lowest structure with this stoichiometry = 125.9 meV/atom
DOS at the Fermi energy = 2.811 states/eV/f.u.

***

(2)
Material: VTcI2O
Method: DFT, PBE with a Hubbard U
State: optimized geometry

Cell lengths 5.590, 5.590, 3.750 Å; angles 90.00, 90.00, 90.00 degrees
Space group P4/mmm (No. 123)
Asymmetric unit:
V (0.000, 0.000, 0.000) (multiplicity 1)
Tc (0.500, 0.500, 0.500) (multiplicity 1)
I (0.000, 0.500, 0.500) (multiplicity 2)
O (0.500, 0.500, 0.000) (multiplicity 1)

E = -5.04 eV per atom
energy above the lowest structure with this stoichiometry = 0.0 meV/atom
DOS at the Fermi energy = 3.434 states/eV/f.u.

***

(3)
Material: TcWI2O
Method: DFT, PBE with a Hubbard U
State: optimized geometry

Cell lengths 5.622, 5.622, 3.763 Å; angles 90.00, 90.00, 90.00 degrees
Space group P4/mmm (No. 123)
Asymmetric unit:
Tc (0.000, 0.000, 0.000) (multiplicity 1)
W (0.500, 0.500, 0.500) (multiplicity 1)
I (0.000, 0.500, 0.000) (multiplicity 2)
O (0.000, 0.000, 0.500) (multiplicity 1)

E = -4.73 eV per atom
energy above the lowest structure with this stoichiometry = 0.0 meV/atom
DOS at the Fermi energy = 1.785 states/eV/f.u.

***

(4)
Material: TcWI2O
Method: DFT, PBE with a Hubbard U
State: optimized geometry

Cell lengths 5.957, 5.957, 3.852 Å; angles 90.00, 90.00, 90.00 degrees
Space group P4/mmm (No. 123)
Asymmetric unit:
Tc (0.000, 0.000, 0.000) (multiplicity 1)
W (0.500, 0.500, 0.500) (multiplicity 1)
I (0.000, 0.500, 0.500) (multiplicity 2)
O (0.500, 0.500, 0.000) (multiplicity 1)

E = -4.66 eV per atom
energy above the lowest structure with this stoichiometry = 70.7 meV/atom
DOS at the Fermi energy = 3.281 states/eV/f.u.

***

Repeat the second record exactly.
Material: VTcI2O
└──
Halloween is one night in the year when Erin always allows her imagination to run away with her enthusiasm. Never one to allow an opportunity for a good time to pass by without her participation, she was determined to have her final homecoming, and still enjoy Halloween as well.
Things started out traditionally enough. She fell in love with a dress she saw this summer, and it quickly became apparent that she was not going to be able to live without it. We took it home long before she knew that homecoming and Halloween would be the same evening. Fortunately, it was black and white, and would work with the holiday theme she ultimately devised.
Her first unconventional move was to join forces with her friend, Ali, to go as each other's date. The reasons why each of them was otherwise dateless don't merit discussion here - they both determined early on that they would have the most fun going with each other. It turned out to be an excellent choice, I would say, given how much fun they had.
They each had a beautiful little dress, Erin in black and white, and Ali in all black. Then, they added the zombie features that would turn the event into Another Fun Occasion. Erin and Ali, actresses both, with a flair for the dramatic, ripped their stockings, painted on their lipstick scars, and wore each a glove - the most captivating zombies I have ever seen.

The Zombie Dates - Erin and Ali, Halloween Homecoming, 2009
My contribution to the evening was their wristlet corsages, a last minute addition dreamed up from items laying around the house. The end result was festive, fun and cheap, and if nothing else, added a little flair to their costumes. One thing was for sure, no one else had anything like them!
As has become a tradition, Erin and Ali, together with the third musketeer, Kelly, took over my bathroom in the afternoon, and prepared for their big evening. As always, we took the first pictures of the three of them, posing in the living room, and just having the fun of being themselves.

Kelly, Erin and Ali - all dressed up and ready to scare!
They are a bevy of beautiful girls, genuinely funny and real and never afraid to throw themselves into the occasion. I will miss these opportunities next year, when I will no longer have the fun of peeking into their world for a few hours, and participating in their off the wall fun.
One of my goals as a mom has always been to be in the moment, to enjoy the time I am having now, and to not look backwards or forwards, regretting or anticipating another time. Next year, everything will be different, everything will change. In the end, I have only the limited time that I have now to build the memories for a lifetime, and I have to make the most of it before this time has gone.
But one thing will never change - my abiding joy at being Erin's mom. Erin has already given me a lifetime of joyous experiences, and the wonder of her has never ceased to amaze me. From her first dance, to the last, I cherish every moment.
Just one question - has anyone seen my bathroom counter? Because that's where the real scares can be found.
Happy Halloween!